
Thursday, March 3, 2011

Drop the Needle: REVELATION #10

TITLE: All Cuffed Up and Nowhere To Go
GENRE: Single title contemporary romance

Dylan has just arrived at Jackie's front door after betraying her trust, offering flowers.

Did he really think that some flowers could even infinitesimally make up for what he'd done? Even he couldn't be that delusional.

He smiled at her, showing his dimples.

The anger erupted. She stepped forward, staring at the dainty yellow petals and then let her hand fly, whacking him in the shoulder. She swung again, hitting him on the side of the head.

"Jackie, jesus, what are-"

This time the flowers hit him in the face, shutting him up. Petals rained down all over the front steps. Dylan coughed, spitting some of them out and raised his arms, covering his face.

She hit him again, the anger in complete control of her. Every ounce of hurt, resentment, disappointment poured into each swing and it still wasn't enough. It still didn't make the pain go away. It was still there pressing on her. She kept swinging until her arms ached. Kept swinging until the flowers bent and drooped, until the stems broke, until every single last one of them had fallen to the ground and littered their feet.

Breathing heavily, she stepped back.

Dylan's face slowly came into view as he dropped his hands. He stared at her like he was visually measuring her for a strait-jacket.

Maybe he should. She'd never lost control like that.

Never knew it could feel so good.

She smiled at him and wiped her hands on her jeans. "Thanks," she said, gesturing to the unrecognizable flowers. "I do like them."


  1. hahaha I love this. That ending is perfect.

  2. I'm not sure why he doesn't fight back. I mean, I completely agree with your MC that flowers don't fix anything, but it seems like if I was the guy I wouldn't just stand there. Sure, he probably wouldn't hit a girl, but there are other options. Like running or protesting verbally. He just seems to stand there and take it. So...maybe he thinks he deserves it?

    Other than that, I thought this was really well written and though I don't know what made your MC so upset, I feel like I can relate to her and her release of anger. So excellent job.

  3. Out of context, I have a little trouble with the extent of her overreaction. However, that said, the ending line is awesome. So as long as the extent of the betrayal justifies her reaction, I'd say you've got a good scene.

  4. I thought this was written pretty well. The ending is the best part.

  5. I feel like this is just very slightly overwritten. I respect the MC's bravery for hitting the boy (and I get that he deserves it a lot), but I think there was too much choreography and not enough focus on the emotions.

    I love the metaphor of measuring her for a straitjacket.

  6. This is fine but she would destroy these flowers after a couple of hits and I'm not sure how that would make her arms ache. I think you need to work on not dragging it out so much. Maybe she hits him with them a couple of times and then stomps them into the ground. Something that can keep going this long.

  7. I like this. It's funny and dramatic and the title is way good. Reminds me of a Kim Harrison title.

  8. Good title and good ending line.
    The paragraph that begins with "She hit him again" has "still" too many times. I assume you were doing this on purpose, but it weakens things by sounding too repetitive.
    "Dylan coughed, spitting some of them out" deserves to be its own sentence, it's so funny.

  9. Love the writing! The only part I would change is ‘…spitting some of them out…’ IMHO, this seems a tiny bit clunky. How about ‘Dylan coughed spitting yellow petals as he raised his arms.’ Maybe there is no need to explain that ‘some of them’ got into his mouth. Let the words carry the story without explaining.

    Super job with her emotion, especially the last line. This tells my volumes, how she has held back before this and tamped her own feelings down.

_Someone pasted molecular data at this point_
/*
1.
The following is a quantum chemistry calculation of a molecular structure, C22H24N4O2 in a non-equilibrium geometry, from the Open Molecules 2025 dataset.

Properties
energy relative to the best compared isomer or geometry (same formula, charge and spin)	534.7	kcal/mol
orbital gap	7.17	eV
LUMO energy	-1.0	eV

```
52
Properties=species:S:1:pos:R:3:forces:R:3
C -1.387734 6.428376 -1.964478 -2.966 1.627 -1.875
C -0.513236 5.268481 -1.598866 -1.636 2.502 -3.075
N -0.558534 4.054369 -2.281939 0.827 5.772 3.925
N 0.495718 3.537382 -1.653113 0.680 -1.395 0.161
C 0.981275 4.435053 -0.597100 6.757 -5.254 -2.120
N 0.550804 5.601777 -0.705303 -4.636 -0.445 -1.571
C 2.460094 4.083892 0.087911 -10.657 -6.305 -0.375
H 1.870323 3.172970 0.679078 2.501 1.729 -0.791
H 3.001648 3.697708 -0.634401 3.380 -1.242 -3.040
H 2.578122 4.806363 0.690761 2.046 5.267 4.113
C 0.802705 2.193594 -2.309518 -3.244 1.300 7.055
H 0.096650 2.100685 -3.110437 0.668 -0.109 -0.800
H 1.795829 2.203767 -2.162410 4.019 -0.622 -1.819
C 0.482403 1.174563 -1.058116 -3.235 9.024 4.253
O 0.019876 1.651631 0.147315 2.424 -2.430 -5.953
N 0.705895 -0.014242 -1.308794 -1.193 -5.647 6.690
C 0.901266 -0.619576 -2.439269 -0.791 -0.203 -9.982
H 1.304404 0.144067 -3.259699 -0.792 -1.756 1.641
C -0.545724 -1.409420 -3.182394 2.406 7.820 5.820
C -0.871021 -2.330152 -2.226841 -5.404 -3.539 1.633
H -2.015314 -2.679424 -2.509237 2.857 -0.349 0.630
H -0.116572 -3.094779 -2.236249 -0.115 -1.075 0.489
C -1.136496 -1.739549 -0.880770 1.067 4.398 2.575
C -1.560331 -2.751498 0.066639 -9.516 -3.933 0.492
O -3.110023 -3.234939 -0.106483 9.344 2.823 1.030
C -0.795860 -3.380871 1.200000 -3.784 9.542 2.671
C -0.066776 -4.390837 1.096396 -1.403 -5.714 -12.560
C 0.763784 -5.063918 1.733953 9.588 -0.994 11.690
C 1.164473 -4.237378 3.020161 -4.765 -2.406 -6.799
C 0.418168 -3.148470 3.384846 -3.216 -0.609 -7.253
C 0.469894 -2.487666 4.472233 1.447 5.872 9.708
C -0.281030 -1.243338 4.863014 6.432 -6.065 0.767
C -1.085372 -0.844639 3.893823 -3.852 11.280 10.365
C -1.308779 -1.362376 2.837509 -2.530 -8.478 -15.804
C -0.573397 -2.552475 2.451747 -0.265 -2.254 -1.072
H -2.038215 -1.190374 1.861994 1.277 0.638 3.325
H -1.820527 0.093340 4.183424 1.989 -1.888 -0.780
H 0.252328 -0.815793 5.720172 -1.448 0.477 -0.210
H 1.261570 -2.837114 5.219774 -1.173 0.589 -0.736
H 1.832675 -4.656849 3.578630 4.053 -2.089 3.573
H 1.518371 -5.939278 1.715137 -2.091 1.356 -1.211
H -0.031008 -4.924954 -0.154276 -0.884 1.484 3.156
H -1.892312 -0.803253 -0.862763 1.038 -2.466 -0.545
C 0.195608 -0.958435 -0.212402 2.255 -7.813 -8.612
H -0.048642 -0.465693 0.549087 -1.598 3.816 6.337
H 0.910804 -1.935425 -0.088580 -0.985 2.972 0.050
H -0.203290 -1.772677 -3.979936 2.158 -2.311 -6.917
H -1.155877 -0.559732 -3.097100 -1.401 0.964 -1.240
H 1.468276 -1.480336 -2.530386 1.988 -1.358 0.950
H -0.887387 7.476142 -2.367111 -0.878 -2.924 1.363
H -2.126859 6.657545 -1.120182 1.347 0.078 -0.852
H -2.172644 6.143754 -2.815449 1.912 0.346 1.530
```
*/
_The page goes on_

    I would read on if only to discover what she does next. LOL.

  10. I really really like this. It's humorous, but there is nice dramatic tension as well. That last line is just perfect too.

  11. I didn't see a reveal here.

    Overall, I thought it was a fun excerpt, with a great last line, and I liked the intent, but I did think it could be so much more than it is. It's mostly told, and it's told in a careful, writerly way (as if you're really paying attention to explaining it well.) Rather than explaining what she did, let her actually do it. The MC is letting go here, and perhaps you should, too. As an example -

    The anger erupted. (This says to me she's really, really mad)

    She stepped forward, staring at the dainty yellow petals (This isn't erupting, and it slows it down. Perhaps she should do this before she erupts, right after he apologizes, right before you say - did he really think . . .?)

    and then let her hand fly, whacking him in the shoulder. She swung again, hitting him on the side of the head.

**Unrelated to this article: molecular data**
Entry 1:
Formula: C5H8P2
Source: the OMol25 dataset
Level of theory: ωB97M-V with the def2-TZVPD basis set

```
! RIJCOSX wB97M-V def2-TZVPD def2/J DEFGRID3
* xyz 0 1
C 1.40 0.27 -0.58
C 1.71 -0.64 0.51
C 0.44 1.20 -0.53
C 0.75 -1.24 1.18
C -0.65 1.29 0.52
P -1.47 -0.43 0.87
P -1.59 -1.06 -1.19
H 2.12 0.33 -1.47
H 2.75 -0.70 0.77
H 0.31 1.98 -1.18
H 0.65 -2.04 1.81
H -0.23 1.73 1.54
H -1.31 1.96 0.18
H -2.72 -0.39 -1.27
H -2.14 -2.25 -1.16
*
```

Summary:
Relative energy (zero: lowest compared OMol25 entry of this formula, charge and spin) = 250.17 kJ/mol
DFT total energy = -23887.9788 eV
Kohn-Sham gap = 8.99 eV
HOMO energy = -8.3325 eV
LUMO level = 0.7 eV

These are the Löwdin partial charges, in e, on atoms 1 to 5: -0.191 -0.222 -0.242 -0.092 -0.448


Entry 2:
Formula: C47H51BN8S5Se2Te2Zr
Source: the OMol25 dataset
Level of theory: ωB97M-V with the def2-TZVPD basis set

```
! RIJCOSX wB97M-V def2-TZVPD def2/J DEFGRID3
* xyz 2 1
Zr -0.04 0.59 -0.63
C 0.45 1.18 4.39
C 1.31 0.04 3.96
C 2.46 -0.32 4.60
C 3.22 -1.41 4.11
N 2.83 -2.06 3.05
N 1.73 -1.72 2.40
B 1.35 -2.59 1.22
N 0.02 -3.27 1.35
N -0.09 -3.92 2.51
C -1.14 -4.64 2.77
C -2.12 -4.87 1.77
C -2.03 -4.21 0.57
C -2.97 -4.44 -0.56
C -0.96 -3.27 0.41
S -0.89 -2.19 -0.89
C -1.23 -5.23 4.16
C -1.05 -6.75 4.08
C -0.13 -4.64 5.05
C -2.60 -4.89 4.77
N 1.97 -2.35 -0.11
N 2.46 -3.38 0.60
C 3.36 -4.20 0.17
C 3.96 -3.86 -1.08
C 3.51 -2.82 -1.84
C 4.14 -2.42 -3.11
C 2.36 -2.07 -1.37
S 1.53 -0.98 -2.33
C 3.74 -5.44 0.92
C 2.86 -5.58 2.17
C 5.22 -5.35 1.33
C 3.50 -6.64 -0.02
C 0.94 -0.69 2.80
S -0.46 -0.32 1.91
C 4.47 -1.92 4.79
C 5.56 -2.09 3.72
C 4.12 -3.28 5.42
C 4.99 -0.99 5.88
H 0.84 1.64 5.28
H 0.41 1.92 3.58
H -0.56 0.83 4.57
H 2.78 0.23 5.48
H -2.92 -5.57 1.95
H -3.76 -5.14 -0.29
H -3.42 -3.50 -0.89
H -2.42 -4.84 -1.41
H -0.12 -7.01 3.59
H -1.03 -7.16 5.09
H -1.87 -7.22 3.55
H 0.85 -4.89 4.67
H -0.21 -3.55 5.09
H -0.23 -5.02 6.06
H -3.41 -5.31 4.19
H -2.65 -5.31 5.77
H -2.73 -3.81 4.84
H 4.79 -4.45 -1.43
H 5.04 -3.01 -3.30
H 3.45 -2.54 -3.94
H 4.40 -1.36 -3.08
H 2.96 -4.71 2.80
H 1.81 -5.69 1.89
H 3.16 -6.46 2.73
H 5.37 -4.50 1.98
H 5.51 -6.25 1.86
H 5.87 -5.24 0.46
H 2.46 -6.68 -0.33
H 4.12 -6.58 -0.91
H 3.74 -7.56 0.50
H 5.18 -2.66 2.88
H 5.88 -1.12 3.35
H 6.42 -2.61 4.14
H 3.76 -3.97 4.67
H 5.00 -3.71 5.89
H 3.35 -3.16 6.17
H 5.20 0.00 5.48
H 4.30 -0.91 6.71
H 5.92 -1.39 6.27
Se 2.41 0.91 0.37
Te 2.76 1.96 -1.89
Te 0.43 2.66 -3.10
Se -1.28 0.83 -2.92
S -7.23 -0.67 0.62
C -7.52 -2.26 1.16
C -6.36 -2.94 1.42
C -5.22 -2.17 1.17
C -5.51 -0.90 0.72
C -4.59 0.17 0.42
C -3.23 -0.10 0.19
N -2.30 0.83 0.02
C -2.68 2.13 0.08
C -4.04 2.50 0.19
C -4.39 3.89 0.18
C -3.44 4.85 0.10
C -2.05 4.51 0.05
C -1.05 5.47 -0.02
C 0.29 5.09 0.01
C 0.55 3.71 0.18
N -0.37 2.76 0.15
C -1.68 3.14 0.07
C 1.38 6.01 -0.19
C 2.72 5.73 -0.30
C 3.49 6.86 -0.62
C 2.73 7.98 -0.76
S 1.07 7.70 -0.50
C -5.00 1.50 0.35
H -8.53 -2.61 1.26
H -6.34 -3.95 1.79
H -4.22 -2.53 1.35
H -2.89 -1.13 0.13
H -5.43 4.15 0.26
H -3.70 5.89 0.11

    (I'm seeing a mosquito swat which conveys annoyance not real anger. Say She hit him. His shoulder. His head. His face. Let the words come in a flurry, in the same way that she's hitting him, rather than in nicely written, measured sentences.

    And is she yelling at him as she hits? Is she crying? And what's he doing? Are his hands thrown up to protect himself? Is he backing off?

    This is a scene you definitely want to show, I think.
